********
Entry 1:
The following is a quantum chemistry calculation of an isolated ion of composition C3H8NO and charge -1 at a distorted geometry, from the OMol25 dataset.

Atoms and positions in Å:
O  1.4912  1.5161  0.2869
N  -1.1255  -0.1657  0.4002
C  1.3311  0.3091  -0.2565
C  0.2880  -0.6549  0.5776
C  -1.8511  -0.8298  -0.7198
H  -0.9807  0.7568  0.0048
H  -2.6649  -1.4910  -0.3995
H  2.2566  -0.3357  -0.1682
H  0.3132  -1.6952  0.2226
H  -2.3570  -0.0204  -1.2500
H  -1.1168  -1.3239  -1.3575
H  0.4908  -0.5110  1.6461
H  0.9677  0.2499  -1.3142

ΔE to the lowest compared entry with this formula, charge and spin = 0.9513 eV
2S+1 = 1
total charge = -1
max |F| = 2.4 eV/Å
orbital gap = 6.5 eV

=====

Entry 2:
The following is a quantum chemistry calculation of C4H8N2 as an isolated structure, from the OMol25 dataset.

Atoms and positions in Å:
N  -1.3004  0.4072  1.3912
N  1.6184  -1.0167  0.1420
C  -2.2009  0.1581  0.5358
C  1.5753  0.4616  -0.0418
C  0.6148  0.2240  -1.1840
C  0.6702  -1.0847  -0.9188
H  2.5480  0.8734  -0.3123
H  0.2331  -1.9847  -1.3295
H  -1.1908  1.4171  1.4980
H  1.1877  0.9803  0.8340
H  -2.4151  -0.8802  0.2798
H  0.1724  0.8513  -1.9450
H  1.2752  -1.3197  1.0485
H  -2.7881  0.9129  0.0020

ΔE to the lowest compared entry with this formula, charge and spin = 2.8766 eV
2S+1 = 1
total charge = 0
max |F| = 0.4 eV/Å
orbital gap = 9.5 eV

=====

Entry 3:
The following is a quantum chemistry calculation of an isolated molecule of C5H8N2S at a distorted geometry, from the OMol25 dataset.

Atoms and positions in Å:
S  -1.1999  -2.6842  -0.6278
N  -1.8080  -1.6562  0.5031
N  0.4596  2.4439  -0.8834
C  1.0765  -0.2344  0.2140
C  -0.2500  0.3049  0.1488
C  1.2468  -1.4474  0.8497
C  -0.4641  1.5552  -0.4180
C  -1.3982  -0.4623  0.6472
H  0.2526  3.3652  -1.0670
H  2.1919  -1.9617  1.0028
H  1.9917  0.4292  -0.1658
H  -0.4843  -1.7314  -1.3333
H  -1.4580  1.9019  -0.4508
H  1.4768  2.0979  -0.9928
H  0.2951  -2.0019  1.2002
H  -1.9285  0.0813  1.3731

ΔE to the lowest compared entry with this formula, charge and spin = 3.1021 eV
2S+1 = 1
total charge = 0
max |F| = 4.8 eV/Å
orbital gap = 8.4 eV

=====

For the records above, the corresponding HOMO values read -2.23 -8.35 -7.75 eV.
For the records above, the corresponding energy values read -6777.04071 -7254.99882 -19127.31921 eV.
For the records above, the corresponding E_LUMO values read 0.1563 0.0407 0.0255 hartree.

----------

A cluster of 7 separate species, C53H77INO25P in total in a non-equilibrium geometry. Source: OMol25; level of theory: ωB97M-V with the def2-TZVPD basis set.

* charge: 0
* structure (SMILES): NCc1cc2c(cc1CP(=O)(O)O)C(=O)c1c(CCCI)c(C[C@H]3CO3)cc(COc3ccccc3)c1C2=O.CCOC(=O)OC.CCOC(=O)OC.CCOC(=O)OC.CCOC(=O)OC.CCOC(=O)OC.CCOC(=O)OC

```
158
Properties=species:S:1:pos:R:3:forces:R:3:lowdin_charge:R:1
H -9.591 -0.916 1.350 0.14 0.11 -0.10 0.092
C -1.036 -3.972 -4.071 0.03 0.30 0.13 -0.059
H 2.625 -4.529 1.475 -0.17 0.42 -0.33 0.113
O -2.153 -3.392 -1.227 -0.09 -0.08 -0.01 0.124
C 0.918 -7.100 -0.010 -0.08 0.32 -0.01 -0.044
H -0.153 -0.978 -9.505 -0.06 -0.07 -0.10 0.099
O 6.483 0.502 2.294 -0.69 -0.15 -0.08 0.112
H -1.287 10.367 4.689 -0.10 -0.02 -0.18 0.093
H 0.082 -7.300 -0.677 0.10 -0.07 -0.07 0.092
H 4.007 -12.347 -1.104 -0.02 -0.02 0.05 0.080
O -0.284 -3.607 0.018 0.02 -0.10 0.15 0.002
C 5.288 0.705 2.407 0.28 0.49 0.20 -0.267
C 1.801 -5.650 -9.631 0.07 0.29 -0.07 -0.066
H -7.114 9.598 2.703 0.25 -0.04 -0.09 0.122
H 4.112 -0.905 -2.054 -0.25 0.23 0.17 0.037
C 2.364 -11.524 0.021 0.22 -0.40 -0.22 -0.211
H -0.383 0.858 -0.060 -0.33 0.12 0.00 0.087
H 4.471 -11.079 0.050 -0.01 -0.14 0.05 0.081
C -9.048 -1.752 0.916 -0.24 0.02 0.16 -0.044
O -3.215 10.229 4.054 -0.01 -0.07 0.02 0.001
C -0.848 0.846 0.921 0.21 -0.03 0.58 -0.099
C -7.069 -2.134 -0.233 0.02 0.10 -0.19 -0.612
H -2.406 9.762 5.919 -0.11 0.07 0.01 0.096
C -0.027 0.655 2.014 1.49 -0.13 -0.15 -0.036
H -5.534 1.953 -0.798 0.17 0.03 0.07 0.087
H 1.766 -6.708 -0.571 -0.08 -0.05 -0.13 0.099
********

It remains to retype the part of the contents above that starts with the line with "-0.3995" and stops after the one with "-2.406 9.762".

H  -2.6649  -1.4910  -0.3995
H  2.2566  -0.3357  -0.1682
H  0.3132  -1.6952  0.2226
H  -2.3570  -0.0204  -1.2500
H  -1.1168  -1.3239  -1.3575
H  0.4908  -0.5110  1.6461
H  0.9677  0.2499  -1.3142

ΔE to the lowest compared entry with this formula, charge and spin = 0.9513 eV
2S+1 = 1
total charge = -1
max |F| = 2.4 eV/Å
orbital gap = 6.5 eV

=====

Entry 2:
The following is a quantum chemistry calculation of C4H8N2 as an isolated structure, from the OMol25 dataset.

Atoms and positions in Å:
N  -1.3004  0.4072  1.3912
N  1.6184  -1.0167  0.1420
C  -2.2009  0.1581  0.5358
C  1.5753  0.4616  -0.0418
C  0.6148  0.2240  -1.1840
C  0.6702  -1.0847  -0.9188
H  2.5480  0.8734  -0.3123
H  0.2331  -1.9847  -1.3295
H  -1.1908  1.4171  1.4980
H  1.1877  0.9803  0.8340
H  -2.4151  -0.8802  0.2798
H  0.1724  0.8513  -1.9450
H  1.2752  -1.3197  1.0485
H  -2.7881  0.9129  0.0020

ΔE to the lowest compared entry with this formula, charge and spin = 2.8766 eV
2S+1 = 1
total charge = 0
max |F| = 0.4 eV/Å
orbital gap = 9.5 eV

=====

Entry 3:
The following is a quantum chemistry calculation of an isolated molecule of C5H8N2S at a distorted geometry, from the OMol25 dataset.

Atoms and positions in Å:
S  -1.1999  -2.6842  -0.6278
N  -1.8080  -1.6562  0.5031
N  0.4596  2.4439  -0.8834
C  1.0765  -0.2344  0.2140
C  -0.2500  0.3049  0.1488
C  1.2468  -1.4474  0.8497
C  -0.4641  1.5552  -0.4180
C  -1.3982  -0.4623  0.6472
H  0.2526  3.3652  -1.0670
H  2.1919  -1.9617  1.0028
H  1.9917  0.4292  -0.1658
H  -0.4843  -1.7314  -1.3333
H  -1.4580  1.9019  -0.4508
H  1.4768  2.0979  -0.9928
H  0.2951  -2.0019  1.2002
H  -1.9285  0.0813  1.3731

ΔE to the lowest compared entry with this formula, charge and spin = 3.1021 eV
2S+1 = 1
total charge = 0
max |F| = 4.8 eV/Å
orbital gap = 8.4 eV

=====

For the records above, the corresponding HOMO values read -2.23 -8.35 -7.75 eV.
For the records above, the corresponding energy values read -6777.04071 -7254.99882 -19127.31921 eV.
For the records above, the corresponding E_LUMO values read 0.1563 0.0407 0.0255 hartree.

----------

A cluster of 7 separate species, C53H77INO25P in total in a non-equilibrium geometry. Source: OMol25; level of theory: ωB97M-V with the def2-TZVPD basis set.

* charge: 0
* structure (SMILES): NCc1cc2c(cc1CP(=O)(O)O)C(=O)c1c(CCCI)c(C[C@H]3CO3)cc(COc3ccccc3)c1C2=O.CCOC(=O)OC.CCOC(=O)OC.CCOC(=O)OC.CCOC(=O)OC.CCOC(=O)OC.CCOC(=O)OC

```
158
Properties=species:S:1:pos:R:3:forces:R:3:lowdin_charge:R:1
H -9.591 -0.916 1.350 0.14 0.11 -0.10 0.092
C -1.036 -3.972 -4.071 0.03 0.30 0.13 -0.059
H 2.625 -4.529 1.475 -0.17 0.42 -0.33 0.113
O -2.153 -3.392 -1.227 -0.09 -0.08 -0.01 0.124
C 0.918 -7.100 -0.010 -0.08 0.32 -0.01 -0.044
H -0.153 -0.978 -9.505 -0.06 -0.07 -0.10 0.099
O 6.483 0.502 2.294 -0.69 -0.15 -0.08 0.112
H -1.287 10.367 4.689 -0.10 -0.02 -0.18 0.093
H 0.082 -7.300 -0.677 0.10 -0.07 -0.07 0.092
H 4.007 -12.347 -1.104 -0.02 -0.02 0.05 0.080
O -0.284 -3.607 0.018 0.02 -0.10 0.15 0.002
C 5.288 0.705 2.407 0.28 0.49 0.20 -0.267
C 1.801 -5.650 -9.631 0.07 0.29 -0.07 -0.066
H -7.114 9.598 2.703 0.25 -0.04 -0.09 0.122
H 4.112 -0.905 -2.054 -0.25 0.23 0.17 0.037
C 2.364 -11.524 0.021 0.22 -0.40 -0.22 -0.211
H -0.383 0.858 -0.060 -0.33 0.12 0.00 0.087
H 4.471 -11.079 0.050 -0.01 -0.14 0.05 0.081
C -9.048 -1.752 0.916 -0.24 0.02 0.16 -0.044
O -3.215 10.229 4.054 -0.01 -0.07 0.02 0.001
C -0.848 0.846 0.921 0.21 -0.03 0.58 -0.099
C -7.069 -2.134 -0.233 0.02 0.10 -0.19 -0.612
H -2.406 9.762 5.919 -0.11 0.07 0.01 0.096